Input:
(1)
The following is a quantum chemistry calculation of the molecule C36H54F3N2O3PS2, from the OMol25 dataset.

Last column: Mulliken charge in e.
Atoms and positions in Å:
C (6.123, 1.930, 0.954)  -0.94
C (7.000, 0.738, 0.349)  -0.59
C (6.036, -0.454, -0.140)  0.14
C (5.841, -1.450, 1.083)  -0.62
C (5.020, -2.752, 0.666)  -0.96
C (3.679, -2.289, -0.045)  -0.50
C (3.711, -2.451, -1.631)  -0.72
C (2.460, -1.630, -2.191)  0.06
C (2.792, -0.764, -3.477)  -0.75
C (2.289, 0.733, -3.412)  -1.02
C (0.748, 0.886, -3.033)  0.46
C (-0.182, 1.092, -4.314)  -0.99
C (-1.436, 0.101, -4.329)  -0.38
C (-2.558, 0.732, -3.400)  -0.30
C (-4.020, 0.220, -3.702)  -0.93
C (-4.362, -1.198, -3.084)  0.72
C (-5.826, -1.345, -2.504)  -1.04
C (-6.279, -0.229, -1.487)  -0.75
C (-5.703, -0.424, -0.006)  -0.73
C (-4.281, 0.255, 0.110)  0.15
C (-3.350, -0.345, 1.213)  0.45
C (-2.991, -1.790, 1.185)  0.15
C (-3.499, -2.814, 0.151)  0.25
C (-2.233, -3.239, -0.851)  -0.38
C (-0.960, -2.217, -0.796)  -0.16
O (-1.004, -3.662, -0.179)  -0.51
C (-2.117, -2.267, 2.249)  -0.91
C (-1.536, -1.438, 3.303)  0.14
S (-0.432, -2.254, 4.470)  1.21
O (-0.917, -3.634, 4.604)  -0.66
O (-0.385, -1.662, 5.803)  -0.61
C (1.224, -2.392, 3.636)  0.84
F (1.951, -1.235, 3.707)  -0.23
F (1.006, -2.616, 2.287)  -0.23
F (1.911, -3.468, 4.113)  -0.21
C (-1.886, 0.014, 3.338)  0.29
C (-2.798, 0.499, 2.304)  0.17
S (-3.285, 2.269, 2.380)  -0.38
C (-1.844, 3.015, 3.183)  0.62
C (-1.549, 4.434, 2.911)  -0.63
C (-0.402, 5.074, 3.553)  0.40
P (0.069, 6.865, 3.354)  0.25
N (0.215, 7.349, 1.847)  -0.68
C (0.435, 4.229, 4.431)  -0.54
C (0.139, 2.816, 4.697)  -0.82
C (-1.044, 2.172, 4.068)  0.27
N (-1.301, 0.790, 4.406)  -0.19
H (5.186, 2.086, 0.348)  0.24
H (5.881, 1.660, 2.016)  0.25
H (6.773, 2.847, 0.889)  0.34
H (7.531, 1.096, -0.572)  0.34
H (7.693, 0.301, 1.112)  0.29
H (6.446, -1.004, -1.025)  0.25
H (5.072, 0.055, -0.428)  -0.21
H (6.864, -1.769, 1.437)  0.41
H (5.281, -0.905, 1.897)  0.16
H (4.832, -3.436, 1.540)  0.30
H (5.588, -3.361, -0.094)  0.36
H (3.438, -1.215, 0.216)  0.35
H (2.810, -2.899, 0.317)  0.36
H (4.683, -2.086, -2.066)  0.36
H (3.561, -3.546, -1.855)  0.34
H (1.688, -2.384, -2.497)  0.04
H (2.046, -0.942, -1.409)  0.21
H (3.921, -0.727, -3.561)  0.40
H (2.442, -1.249, -4.433)  0.31
H (2.516, 1.232, -4.401)  0.46
H (2.949, 1.265, -2.663)  0.24
H (0.384, 0.084, -2.340)  -0.48
H (0.696, 1.851, -2.441)  0.35
H (0.482, 0.958, -5.210)  0.43
H (-0.503, 2.172, -4.321)  0.34
H (-1.042, -0.863, -3.892)  0.07
H (-1.775, -0.011, -5.390)  0.41
H (-2.524, 1.848, -3.587)  0.47
H (-2.218, 0.589, -2.339)  -0.04
H (-4.728, 1.041, -3.423)  0.21
H (-4.088, 0.105, -4.825)  0.52
H (-3.548, -1.420, -2.330)  -0.88
H (-4.264, -1.949, -3.920)  0.61
H (-5.896, -2.373, -2.037)  0.36
H (-6.543, -1.377, -3.378)  0.40
H (-6.135, 0.820, -1.860)  0.32
H (-7.399, -0.350, -1.367)  0.43
H (-5.746, -1.491, 0.323)  0.35
H (-6.399, 0.174, 0.652)  0.41
H (-3.692, 0.180, -0.853)  -1.19
H (-4.464, 1.359, 0.244)  0.78
H (-3.893, -3.770, 0.577)  0.52
H (-4.206, -2.415, -0.614)  -1.07
H (-2.494, -3.694, -1.879)  0.53
H (-0.395, -2.340, -1.747)  0.13
H (-0.567, -1.846, 0.175)  0.27
H (-1.841, -3.355, 2.229)  0.32
H (-2.191, 5.064, 2.252)  0.33
H (1.314, 7.133, 4.023)  0.06
H (-0.953, 7.596, 4.058)  0.10
H (1.178, 7.700, 1.757)  0.21
H (1.330, 4.697, 4.920)  0.18
H (0.821, 2.263, 5.382)  0.35
H (-0.372, 0.406, 4.622)  0.24

Cartesian forces (eV/Å) of the 6 atoms listed first:
C 1.194 -0.730 -0.336
C -1.495 -0.436 -0.894
C 0.438 0.497 1.277
C -0.304 -0.620 -0.927
C -0.245 0.742 -0.406
C 0.098 -0.554 -0.133

Values from the calculation:
- E (eV) = -86433.54636
- orbital gap (eV) = 7.7
- HOMO level (Eh) = -0.2998



(2)
The following is a quantum chemistry calculation of a structure of composition C35H34BrIN6O4SeY, from the OMol25 dataset.

Last column: Mulliken charge in e.
Atoms and positions in Å:
Y (-0.320, 0.573, 0.436)  1.05
O (-1.039, -3.279, -3.822)  -0.45
C (-2.305, -2.838, -3.523)  1.07

Brief:
The reader should start at the top of the entries further up and restate each line, ending with the one that has "1.112)".

Result:
(1)
The following is a quantum chemistry calculation of the molecule C36H54F3N2O3PS2, from the OMol25 dataset.

Last column: Mulliken charge in e.
Atoms and positions in Å:
C (6.123, 1.930, 0.954)  -0.94
C (7.000, 0.738, 0.349)  -0.59
C (6.036, -0.454, -0.140)  0.14
C (5.841, -1.450, 1.083)  -0.62
C (5.020, -2.752, 0.666)  -0.96
C (3.679, -2.289, -0.045)  -0.50
C (3.711, -2.451, -1.631)  -0.72
C (2.460, -1.630, -2.191)  0.06
C (2.792, -0.764, -3.477)  -0.75
C (2.289, 0.733, -3.412)  -1.02
C (0.748, 0.886, -3.033)  0.46
C (-0.182, 1.092, -4.314)  -0.99
C (-1.436, 0.101, -4.329)  -0.38
C (-2.558, 0.732, -3.400)  -0.30
C (-4.020, 0.220, -3.702)  -0.93
C (-4.362, -1.198, -3.084)  0.72
C (-5.826, -1.345, -2.504)  -1.04
C (-6.279, -0.229, -1.487)  -0.75
C (-5.703, -0.424, -0.006)  -0.73
C (-4.281, 0.255, 0.110)  0.15
C (-3.350, -0.345, 1.213)  0.45
C (-2.991, -1.790, 1.185)  0.15
C (-3.499, -2.814, 0.151)  0.25
C (-2.233, -3.239, -0.851)  -0.38
C (-0.960, -2.217, -0.796)  -0.16
O (-1.004, -3.662, -0.179)  -0.51
C (-2.117, -2.267, 2.249)  -0.91
C (-1.536, -1.438, 3.303)  0.14
S (-0.432, -2.254, 4.470)  1.21
O (-0.917, -3.634, 4.604)  -0.66
O (-0.385, -1.662, 5.803)  -0.61
C (1.224, -2.392, 3.636)  0.84
F (1.951, -1.235, 3.707)  -0.23
F (1.006, -2.616, 2.287)  -0.23
F (1.911, -3.468, 4.113)  -0.21
C (-1.886, 0.014, 3.338)  0.29
C (-2.798, 0.499, 2.304)  0.17
S (-3.285, 2.269, 2.380)  -0.38
C (-1.844, 3.015, 3.183)  0.62
C (-1.549, 4.434, 2.911)  -0.63
C (-0.402, 5.074, 3.553)  0.40
P (0.069, 6.865, 3.354)  0.25
N (0.215, 7.349, 1.847)  -0.68
C (0.435, 4.229, 4.431)  -0.54
C (0.139, 2.816, 4.697)  -0.82
C (-1.044, 2.172, 4.068)  0.27
N (-1.301, 0.790, 4.406)  -0.19
H (5.186, 2.086, 0.348)  0.24
H (5.881, 1.660, 2.016)  0.25
H (6.773, 2.847, 0.889)  0.34
H (7.531, 1.096, -0.572)  0.34
H (7.693, 0.301, 1.112)  0.29